Friday, April 25, 2014

(Data records, as found in the file)
........
# 1
Compound: NaPaPdS4
Source: the Alexandria database
Functional: PBE
Structure: optimized geometry

Summary:
Electronic total energy   -79.53 eV/cell
Crystal system   monoclinic

Geometry as extended XYZ:
```
14
Lattice="6.875 0.000 -0.422 0.000 5.396 0.000 -3.173 0.000 8.434" Properties=species:S:1:pos:R:3 pbc="T T T"
Na 1.603 4.047 7.768
Na 2.099 1.349 0.245
Pa 3.529 4.047 3.418
Pa 0.174 1.349 4.595
Pd 0.430 4.047 2.364
Pd 3.273 1.349 5.649
S -1.829 2.915 5.943
S 5.531 0.217 2.070
S 5.531 2.481 2.070
S -1.829 5.179 5.943
S 2.454 4.047 1.053
S 1.249 1.349 6.960
S 1.132 4.047 4.698
S 2.571 1.349 3.315
```

# 2
Compound: NaPaPdSe3
Source: the Alexandria database
Functional: PBE
Structure: optimized geometry

Summary:
Electronic total energy   -66.97 eV/cell
Crystal system   orthorhombic

Geometry as extended XYZ:
```
12
Lattice="-1.557 2.775 -2.544 -4.369 -5.710 -0.292 -5.701 3.963 7.811" Properties=species:S:1:pos:R:3 pbc="T T T"
Na -7.747 2.099 3.768
Na -3.880 -1.070 1.207
Pa -2.850 1.981 3.905
Pa 0.000 0.000 0.000
Pd -9.117 -1.093 4.387
Pd -2.510 2.121 0.587
Se -4.741 1.970 1.787
Se -6.886 -0.941 3.187
Se -9.130 0.618 6.261
Se -2.498 0.410 -1.287
Se -5.146 2.241 5.594
Se -6.481 -1.213 -0.619
```

# 3
Compound: Na3PaPd2Se6
Source: the Alexandria database
Functional: PBE
Structure: optimized geometry

Summary:
Electronic total energy   -55.40 eV/cell
Crystal system   monoclinic

Geometry as extended XYZ:
```
12
Lattice="-2.346 5.942 1.947 -2.495 -2.953 -5.445 -3.330 -4.280 5.217" Properties=species:S:1:pos:R:3 pbc="T T T"
Na -4.135 -3.638 -1.627
Na -4.035 2.346 3.346
Na -4.085 -0.646 0.859
Pa 0.000 0.000 0.000
Pd -2.445 0.013 -2.980
Pd -2.395 2.976 -0.518
Se -6.231 0.446 2.732
Se -4.227 1.241 -1.407
Se -1.940 -1.738 -1.013
Se -6.283 -2.643 0.164
Se -3.943 -2.532 3.126
Se -1.888 1.352 1.554
```

# 4
Compound: Na2Pa2PdSe6
Source: the Alexandria database
Functional: PBE
Structure: optimized geometry

Summary:
Electronic total energy   -60.32 eV/cell
Crystal system   monoclinic

Geometry as extended XYZ:
```
11
Lattice="7.139 -0.208 0.095 -3.709 6.104 0.095 -1.191 -2.047 7.051" Properties=species:S:1:pos:R:3 pbc="T T T"
Na 5.425 0.789 0.095
Na -1.995 5.106 0.095
Pa -0.631 2.943 3.620
Pa 2.870 0.906 3.620
Pd -0.595 -1.024 3.525
Se 1.700 2.923 5.195
Se -1.972 1.090 5.168
Se 0.539 0.926 2.045
Se 1.922 -1.176 5.168
Se 4.211 2.759 2.072
Se 0.317 5.025 2.072
```

- Which value of electronic total energy does entry 3 give?
  -55.40 eV/cell

----------

[1]
This record from Alexandria describes a crystal of K2InCuCl6 relaxed with PBEsol. The functional is SCAN.

Computed properties:
Energy ... -127.9 eV/cell

Geometry as POSCAR:
```
K2InCuCl6
1.0
7.031 0.000 0.000
3.516 6.089 0.000
3.516 2.030 5.741
Cl K In Cu
6 2 1 1
Cartesian
5.309 3.065 4.277
7.031 2.071 1.464
5.309 5.054 1.464
8.753 3.065 4.277
8.753 5.054 1.464
7.031 6.048 4.277
3.516 2.030 1.435
10.547 6.089 4.306
0.000 0.000 0.000
7.031 4.059 2.870
```

***

[2]
........

How to Soar For God

Dr. Alan N. Keiran,                       11/7/13
How to Soar For God

Psalm 1:1-3 (NLT)
“Oh, the joys of those who do not follow the advice of the wicked,
    or stand around with sinners, join in with mockers.
But they delight in the law of the Lord, meditating on it day and night.
They are like trees planted along the riverbank, bearing fruit each season.
Their leaves never wither, and they prosper in all they do.”

Power Points….

1.       Don’t listen to the counsel of godless people, listen to what the Word of God says and practice it.
2.       Avoid unholy company. Seek friends that love Jesus and live for his glory!
3.       Don’t let society dictate your thoughts and desires. Make God’s word your most trusted counselor.
4.       Remember God’s promise: Vs 3. “If you do these things you will be like trees planted along a river bed and you will bear much fruit.”

The Fruit of the Spirit is “the Holy Spirit produces this kind of fruit in our lives: love, joy, peace, patience, kindness, goodness, faithfulness and self-control. There is no law against these things!” (Galatians 5:22-23.)

God bless you…..


Part 6 Out of the Darkness into the Light Dr. Alan N. Keiran

**The article is interrupted by crystal structures:**
-- begin --
Record 1
DFT (PBE-GGA) results for a relaxed Dy2TmAl3CuSn2 crystal.

It has space group Amm2 (No. 38), with a = 4.265 Å, b = 12.566 Å, c = 7.290 Å, α = 90.00°, β = 90.00° and γ = 90.00°. The distinct sites, in fractional coordinates, are Dy at (0.000, 0.194, 0.000), Tm at (0.000, 0.000, 0.581), Al at (0.500, 0.000, 0.973), Al at (0.500, 0.112, 0.306), Cu at (0.000, 0.000, 0.199) and Sn at (0.500, 0.165, 0.694).

The calculation puts the total magnetization at 0.002 μB/f.u. As for the total energy: -41.5 eV/f.u.

=====

Record 2
DFT (PBE-GGA) results for a relaxed DyY2Al3CuSn2 crystal.

It has space group Amm2 (No. 38), with a = 4.280 Å, b = 12.654 Å, c = 7.309 Å, α = 90.00°, β = 90.00° and γ = 90.00°. The distinct sites, in fractional coordinates, are Dy at (0.000, 0.000, 0.000), Y at (0.000, 0.194, 0.419), Al at (0.500, 0.000, 0.390), Al at (0.500, 0.111, 0.724), Cu at (0.000, 0.000, 0.614) and Sn at (0.500, 0.166, 0.112).

The calculation puts the total magnetization at 0.001 μB/f.u. As for the total energy: -45.5 eV/f.u.

=====

Record 3
DFT (PBE-GGA) results for a relaxed Tb2DyAl7Cu2 crystal.

It has space group R-3m (No. 166, hexagonal axes), with a = 5.4948 Å, b = 5.4948 Å, c = 25.4351 Å, α = 90.00°, β = 90.00° and γ = 120.00°. The distinct sites, in fractional coordinates, are Tb at (0.0000, 0.0000, 0.1419), Dy at (0.0000, 0.0000, 0.0000), Al at (0.0000, 0.0000, 0.5000), Al at (0.0063, 0.5032, 0.9215) and Cu at (0.0000, 0.0000, 0.3354).

The calculation puts the total magnetization at 0.001 μB/f.u. As for the total energy: -53.4 eV/f.u.

=====

Record 4
DFT (PBE-GGA) results for a relaxed DyTm2Al3Cu3 crystal.

It has space group Amm2 (No. 38), with a = 3.988 Å, b = 12.064 Å, c = 6.965 Å, α = 90.00°, β = 90.00° and γ = 90.00°. The distinct sites, in fractional coordinates, are Dy at (0.000, 0.000, 0.000), Tm at (0.000, 0.207, 0.378), Al at (0.500, 0.000, 0.348), Al at (0.500, 0.119, 0.703), Cu at (0.000, 0.000, 0.582) and Cu at (0.500, 0.168, 0.086).

The calculation puts the total magnetization at 0.006 μB/f.u. As for the total energy: -40.1 eV/f.u.

=====

Record 5
DFT (PBE-GGA) results for a relaxed Dy2TmAl7Cu2 crystal.

It has space group R-3m (No. 166, hexagonal axes), with a = 5.4708 Å, b = 5.4708 Å, c = 25.3720 Å, α = 90.00°, β = 90.00° and γ = 120.00°. The distinct sites, in fractional coordinates, are Dy at (0.0000, 0.0000, 0.1419), Tm at (0.0000, 0.0000, 0.0000), Al at (0.0000, 0.0000, 0.5000), Al at (0.0060, 0.5030, 0.9215) and Cu at (0.0000, 0.0000, 0.3353).

The calculation puts the total magnetization at 0.001 μB/f.u. As for the total energy: -53.0 eV/f.u.

=====

Record 6
DFT (PBE-GGA) results for a relaxed DyYAl4Cu2 crystal.
-- stop --

Part 6
Out of the Darkness into the Light
Dr. Alan N. Keiran
Eastern Baptist Seminary Graduation

I graduated from Eastern Baptist Seminary on May 20, 1979, with Sally, my mother and dad, my brothers and sisters in attendance. David and Brian help us pack and load our belongings in a rented truck and drive with me from there to Northern, NY. I was ordained by Reverend Jagger at the First Baptist Church of Amherst on May 27th of that year. I was already commissioned as a Naval Reserve Chaplain and assigned to a Chaplains unit in Albany, New York about 30 miles from our small apartment in Saratoga Springs, NY.

My first church, Old Stone Church in West Milton, NY is a church-plant from the First Baptist Church of Ballston Spa, also an American Baptist Church. We with about 45 hardy souls. Most of the men were hunters, fishermen, snow mobile enthusiasts, and rugged souls who challenged me to split wood, and stretch a bit and love then as they were. It was hard at first, but January 1980 the Holy Spirit changed my whole perceptive on life and ministry.
In that frigid northern climate the Lord warmed my heart for my flock. I knew that I had a call to be a Navy Chaplain, but my denomination required 3 years of full time ministry. By mid-January I was burned out and ready to get out the ministry. Nothing I was doing in the church was working out. My Bible study that started with a dozen souls was down to me and my wife. I actually told the Lord that I’d rather go back to work in a grocery store than deal with the unbelievers in our church. My immaturity and self-pity had closed my heart to the needs of my flock. I felt like I was dying.

But God was on the move. I cried out to God for help and had amazing supernatural experience. That morning I was so low that I could barely make it through a day.  I was in deep prayer with tears washing down my cheeks. I said to the Lord, “Father, I don’t know what to do. I have no idea how to be a pastor. Show me how to love these people and how to preach with power. I can’t do this without your help.

A minute later I felt the power of the Holy Spirit come over me and then I felt warm oil pouring over my head and glowing down my cheeks. An amazing power came over me and I was giddy with live for God and my flock! I was blasted by God’s Agape.
The next weekend I preached without notes and had so much power coming from me that some folks were shaken. The devil wasn’t happy about the new me! A few weeks later I was called to come to the senior deacon’s home. After a few minutes she said, “The main contributors of our church don’t like the way you are preaching. We can’t afford to lose them but we can afford to lose you!”
My reply may seem disrespectful, but I said, “I am preaching exactly what the Lord as asked me to preach. If you need to fire me I won’t harbor any malice against you or the board. But I will not compromise at all.”
The next Sunday the senior deacon and her family didn’t come to church. The following Sunday right before my sermon stood up and walked to the front of the church. I was expecting to be relived of my duties, but God had another plan. Instead of calling for a vote to fire me, she said, “Last Sunday we worshiped at Rev. Elliot’s Church (Our church was a daughter church of his) and he is preaching the same message our pastor is preaching so you better listen to him.”

What a relief! Soon after that trying day the Lord brought a host of disabled men and women and their caretakers to the church and we grew in one week by 40 percent. A few weeks later the Lord told me to submit my Navy active duty application. I had no idea that I’d be on active duty just a few months because the chaplain of the USS Texas would have an accident. Leaving the church was a sad and glad time for Sally and me….Because my call to ministry was to be an active duty Navy Chaplain.